• Activity:
The reader should search the material underneath for the word "geometry" and echo each line that has it.
• Data:
<<<
(1)
Pm4HRh GGA-PBE optimized geometry; space-group type = P2_1/m, No. 11; E = -5.29 eV/atom
1.0
6.153 -0.828 0.000
-4.220 6.712 0.000
0.000 0.000 8.641
Pm Rh H
8 2 2
Direct
0.585 0.823 0.250
0.998 0.719 0.466
0.998 0.719 0.034
0.588 0.762 0.750
0.412 0.238 0.250
0.415 0.177 0.750
0.002 0.281 0.966
0.002 0.281 0.534
0.998 0.437 0.250
0.002 0.563 0.750
0.002 0.109 0.750
0.998 0.891 0.250

***

(2)
Pm3H6Rh GGA-PBE optimized geometry; space-group type = R-3, No. 148; E = -4.53 eV/atom
1.0
6.452 -0.108 -0.110
-0.248 6.448 -0.110
-0.248 -0.253 6.444
Pm H Rh
6 12 2
Direct
0.546 0.061 0.255
0.939 0.745 0.454
0.454 0.939 0.745
0.061 0.255 0.546
0.745 0.454 0.939
0.255 0.546 0.061
0.046 0.265 0.910
0.954 0.735 0.090
0.764 0.455 0.581
0.455 0.581 0.764
0.545 0.419 0.236
0.910 0.046 0.265
0.735 0.090 0.954
0.581 0.764 0.455
0.090 0.954 0.735
0.419 0.236 0.545
0.236 0.545 0.419
0.265 0.910 0.046
0.000 0.000 0.000
0.500 0.500 0.500
>>>
• Worked solution:
Pm4HRh GGA-PBE optimized geometry; space-group type = P2_1/m, No. 11; E = -5.29 eV/atom
Pm3H6Rh GGA-PBE optimized geometry; space-group type = R-3, No. 148; E = -4.53 eV/atom